# Activity
Quote the calculation results below character by character.
# Source
+++
Entry 1:
Density functional theory data (ωB97M-V with the def2-TZVPD basis set) for a molecular structure, C12H24BN4O2PtS2.

The geometry in ORCA input format:
```
! RIJCOSX wB97M-V def2-TZVPD def2/J DEFGRID3
* xyz 3 1
Pt 0.4252 0.5767 0.1287
B 1.9540 3.2104 1.5080
N 0.9698 2.6424 2.3085
C 0.5035 3.0626 3.5598
C -0.5188 2.2586 3.9084
C -0.6631 1.3388 2.8359
N 0.2202 1.5614 1.8920
N 2.4189 2.8779 0.2289
C 3.4866 3.4598 -0.4522
C 3.6596 2.7877 -1.6089
C 2.6616 1.7827 -1.6072
N 1.9160 1.8288 -0.5253
H 2.2572 4.4923 1.8696
H 2.8226 3.9938 2.2148
H 0.9591 3.8991 4.0692
H -1.1090 2.2956 4.8091
H -1.3640 0.5289 2.7222
H 4.0169 4.3043 -0.0364
H 4.3931 2.9713 -2.3766
H 2.4827 1.0384 -2.3637
C -4.0439 -0.3834 -0.1277
C -3.4659 -1.5929 0.5879
S -1.7304 -1.8232 0.1934
O -1.0725 -0.5555 0.8688
C -1.2937 -3.1763 1.3188
C -0.3091 -4.1423 0.6798
H -5.1235 -0.3726 0.0122
H -3.8498 -0.4207 -1.1999
H -3.6454 0.5479 0.2714
H -3.9307 -2.5244 0.2516
H -3.5522 -1.5383 1.6746
H -2.2262 -3.6652 1.6029
H -0.8846 -2.6774 2.1984
H -0.7284 -4.6095 -0.2114
H -0.0789 -4.9372 1.3878
H 0.6281 -3.6473 0.4214
C 1.2931 -2.5621 -3.0394
S 0.9220 -0.8162 -2.8930
C -0.5039 -0.6820 -3.9501
O 0.3433 -0.7004 -1.4532
H 0.9775 -2.9105 -4.0211
H 0.7327 -3.0693 -2.2558
H 2.3633 -2.7063 -2.9134
H -0.1712 -0.8695 -4.9723
H -0.8883 0.3333 -3.8721
H -1.2535 -1.4107 -3.6444
*
```

## Properties
* lowest unoccupied orbital energy: -0.435 Ha
* HOMO-LUMO gap: 6.69 eV

***

Entry 2:
Density functional theory data (ωB97M-V with the def2-TZVPD basis set) for a molecular structure, C12H24Cl12.

The geometry in ORCA input format:
```
! RIJCOSX wB97M-V def2-TZVPD def2/J DEFGRID3
* xyz 0 1
Cl -3.9315 17.9745 -31.6628
C -5.2171 18.4140 -30.4865
C -5.1196 17.6186 -29.1994
Cl -5.8889 15.9846 -29.2280
H -6.2129 18.2667 -30.9044
H -5.2527 19.4654 -30.2015
H -5.5296 18.1204 -28.3229
H -4.0758 17.5380 -28.8962
Cl -3.0447 9.9982 -28.0840
C -2.9890 11.1661 -29.3912
C -1.5498 11.5829 -29.7403
Cl -0.5548 10.2689 -30.4411
H -3.5618 12.0186 -29.0260
H -3.5422 10.7871 -30.2505
H -0.9484 11.9324 -28.9011
H -1.5975 12.4537 -30.3941
Cl -8.2372 15.8913 -29.3839
C -9.3843 14.5156 -29.5694
C -10.5771 14.8871 -30.4390
Cl -9.9924 14.9997 -32.1497
H -9.7457 14.5223 -28.5411
H -8.7684 13.6492 -29.8103
H -10.9874 15.8564 -30.1558
H -11.2567 14.0511 -30.2737
Cl -4.7208 9.3084 -28.8298
C -6.4180 9.7051 -28.9197
C -6.8080 11.0731 -28.3341
Cl -8.5984 11.3129 -28.4172
H -7.0346 8.9289 -28.4663
H -6.6773 9.8045 -29.9737
H -6.3864 11.9893 -28.7475
H -6.6589 11.1207 -27.2554
Cl -4.0818 10.5967 -31.3498
C -5.6480 11.3054 -31.8992
C -6.2985 10.4135 -32.9508
Cl -6.9376 8.9089 -32.4323
H -5.3687 12.2460 -32.3740
H -6.3192 11.4921 -31.0610
H -5.5647 10.0693 -33.6796
H -7.0814 10.9500 -33.4869
Cl -4.0894 13.0240 -30.0612
C -5.3804 13.9589 -29.2035
C -6.6224 14.2912 -30.0613
Cl -7.3185 12.8002 -30.7546
H -4.8605 14.8580 -28.8727
H -5.5690 13.4265 -28.2713
H -6.3161 14.9176 -30.8991
H -7.3737 14.8460 -29.4993
*
```

## Properties
* lowest unoccupied orbital energy: 0.000 Ha
* HOMO-LUMO gap: 6.44 eV

***

Entry 3:
Density functional theory data (ωB97M-V with the def2-TZVPD basis set) for a molecular structure, C12H24ClI2N2OP2Pb.

The geometry in ORCA input format:
```
! RIJCOSX wB97M-V def2-TZVPD def2/J DEFGRID3
* xyz 3 1
I 0.0191 -0.3452 -5.7202
I 0.0414 2.3444 -6.1717
Pb 0.0367 1.2293 -1.4164
P -2.7114 1.4080 -0.3760
C -3.7722 1.2025 -1.8536
C -3.4246 0.1322 0.7719
H -4.5142 0.2965 0.9318
H -4.5445 2.8298 0.4865
H -2.8811 0.1944 1.7353
H -2.9406 3.1517 1.2939
H -3.5303 0.2504 -2.3471
H -3.2428 -0.8682 0.3374
C -3.4518 2.9337 0.3431
H -4.8461 1.2299 -1.6105
H -3.2403 3.7583 -0.3551
H -3.5376 2.0118 -2.5613
P 2.8075 1.3636 -0.3337
C 3.8527 1.2189 -1.8291
C 3.5170 2.9174 0.3862
H 3.1503 0.1504 1.7711
H 4.6884 0.2302 0.7941
H 3.3424 -0.9231 0.3585
C 3.5864 0.0791 0.7581
H 2.9798 3.1431 1.3245
H 4.6086 2.8413 0.5580
H 4.9308 1.2394 -1.6111
H 3.6040 2.0483 -2.5064
H 3.3096 3.7361 -0.3246
H 3.6036 0.2802 -2.3452
+++
# Solution
Entry 1:
Density functional theory data (ωB97M-V with the def2-TZVPD basis set) for a molecular structure, C12H24BN4O2PtS2.

The geometry in ORCA input format:
```
! RIJCOSX wB97M-V def2-TZVPD def2/J DEFGRID3
* xyz 3 1
Pt 0.4252 0.5767 0.1287
B 1.9540 3.2104 1.5080
N 0.9698 2.6424 2.3085
C 0.5035 3.0626 3.5598
C -0.5188 2.2586 3.9084
C -0.6631 1.3388 2.8359
N 0.2202 1.5614 1.8920
N 2.4189 2.8779 0.2289
C 3.4866 3.4598 -0.4522
C 3.6596 2.7877 -1.6089
C 2.6616 1.7827 -1.6072
N 1.9160 1.8288 -0.5253
H 2.2572 4.4923 1.8696
H 2.8226 3.9938 2.2148
H 0.9591 3.8991 4.0692
H -1.1090 2.2956 4.8091
H -1.3640 0.5289 2.7222
H 4.0169 4.3043 -0.0364
H 4.3931 2.9713 -2.3766
H 2.4827 1.0384 -2.3637
C -4.0439 -0.3834 -0.1277
C -3.4659 -1.5929 0.5879
S -1.7304 -1.8232 0.1934
O -1.0725 -0.5555 0.8688
C -1.2937 -3.1763 1.3188
C -0.3091 -4.1423 0.6798
H -5.1235 -0.3726 0.0122
H -3.8498 -0.4207 -1.1999
H -3.6454 0.5479 0.2714
H -3.9307 -2.5244 0.2516
H -3.5522 -1.5383 1.6746
H -2.2262 -3.6652 1.6029
H -0.8846 -2.6774 2.1984
H -0.7284 -4.6095 -0.2114
H -0.0789 -4.9372 1.3878
H 0.6281 -3.6473 0.4214
C 1.2931 -2.5621 -3.0394
S 0.9220 -0.8162 -2.8930
C -0.5039 -0.6820 -3.9501
O 0.3433 -0.7004 -1.4532
H 0.9775 -2.9105 -4.0211
H 0.7327 -3.0693 -2.2558
H 2.3633 -2.7063 -2.9134
H -0.1712 -0.8695 -4.9723
H -0.8883 0.3333 -3.8721
H -1.2535 -1.4107 -3.6444
*
```

## Properties
* lowest unoccupied orbital energy: -0.435 Ha
* HOMO-LUMO gap: 6.69 eV

***

Entry 2:
Density functional theory data (ωB97M-V with the def2-TZVPD basis set) for a molecular structure, C12H24Cl12.

The geometry in ORCA input format:
```
! RIJCOSX wB97M-V def2-TZVPD def2/J DEFGRID3
* xyz 0 1
Cl -3.9315 17.9745 -31.6628
C -5.2171 18.4140 -30.4865
C -5.1196 17.6186 -29.1994
Cl -5.8889 15.9846 -29.2280
H -6.2129 18.2667 -30.9044
H -5.2527 19.4654 -30.2015
H -5.5296 18.1204 -28.3229
H -4.0758 17.5380 -28.8962
Cl -3.0447 9.9982 -28.0840
C -2.9890 11.1661 -29.3912
C -1.5498 11.5829 -29.7403
Cl -0.5548 10.2689 -30.4411
H -3.5618 12.0186 -29.0260
H -3.5422 10.7871 -30.2505
H -0.9484 11.9324 -28.9011
H -1.5975 12.4537 -30.3941
Cl -8.2372 15.8913 -29.3839
C -9.3843 14.5156 -29.5694
C -10.5771 14.8871 -30.4390
Cl -9.9924 14.9997 -32.1497
H -9.7457 14.5223 -28.5411
H -8.7684 13.6492 -29.8103
H -10.9874 15.8564 -30.1558
H -11.2567 14.0511 -30.2737
Cl -4.7208 9.3084 -28.8298
C -6.4180 9.7051 -28.9197
C -6.8080 11.0731 -28.3341
Cl -8.5984 11.3129 -28.4172
H -7.0346 8.9289 -28.4663
H -6.6773 9.8045 -29.9737
H -6.3864 11.9893 -28.7475
H -6.6589 11.1207 -27.2554
Cl -4.0818 10.5967 -31.3498
C -5.6480 11.3054 -31.8992
C -6.2985 10.4135 -32.9508
Cl -6.9376 8.9089 -32.4323
H -5.3687 12.2460 -32.3740
H -6.3192 11.4921 -31.0610
H -5.5647 10.0693 -33.6796
H -7.0814 10.9500 -33.4869
Cl -4.0894 13.0240 -30.0612
C -5.3804 13.9589 -29.2035
C -6.6224 14.2912 -30.0613
Cl -7.3185 12.8002 -30.7546
H -4.8605 14.8580 -28.8727
H -5.5690 13.4265 -28.2713
H -6.3161 14.9176 -30.8991
H -7.3737 14.8460 -29.4993
*
```

## Properties
* lowest unoccupied orbital energy: 0.000 Ha
* HOMO-LUMO gap: 6.44 eV

***

Entry 3:
Density functional theory data (ωB97M-V with the def2-TZVPD basis set) for a molecular structure, C12H24ClI2N2OP2Pb.

The geometry in ORCA input format:
```
! RIJCOSX wB97M-V def2-TZVPD def2/J DEFGRID3
* xyz 3 1
I 0.0191 -0.3452 -5.7202
I 0.0414 2.3444 -6.1717
Pb 0.0367 1.2293 -1.4164
P -2.7114 1.4080 -0.3760
C -3.7722 1.2025 -1.8536
C -3.4246 0.1322 0.7719
H -4.5142 0.2965 0.9318
H -4.5445 2.8298 0.4865
H -2.8811 0.1944 1.7353
H -2.9406 3.1517 1.2939
H -3.5303 0.2504 -2.3471
H -3.2428 -0.8682 0.3374
C -3.4518 2.9337 0.3431
H -4.8461 1.2299 -1.6105
H -3.2403 3.7583 -0.3551
H -3.5376 2.0118 -2.5613
P 2.8075 1.3636 -0.3337
C 3.8527 1.2189 -1.8291
C 3.5170 2.9174 0.3862
H 3.1503 0.1504 1.7711
H 4.6884 0.2302 0.7941
H 3.3424 -0.9231 0.3585
C 3.5864 0.0791 0.7581
H 2.9798 3.1431 1.3245
H 4.6086 2.8413 0.5580
H 4.9308 1.2394 -1.6111
H 3.6040 2.0483 -2.5064
H 3.3096 3.7361 -0.3246
H 3.6036 0.2802 -2.3452